What Bernie Sanders Meant to Say About Identity Politics | The New Republic

What Bernie Sanders Meant to Say About Identity Politics

-- Between two parts of the article: materials data --
********
Pm5Cu2Si5 | PBE-GGA | relaxed

The structure in POSCAR format:
```
Pm5Cu2Si5
1.0
5.3633 -2.1012 0.0000
5.3633 2.1012 0.0000
-2.6003 0.0000 11.8361
Pm Cu Si
5 2 5
Direct
0.0000 0.0000 0.0000
0.3427 0.3427 0.5705
0.3475 0.3475 0.2246
0.6525 0.6525 0.7754
0.6573 0.6573 0.4295
0.3823 0.3823 0.8145
0.6177 0.6177 0.1855
0.0000 0.0000 0.5000
0.0696 0.0696 0.2632
0.2787 0.2787 0.9621
0.7213 0.7213 0.0379
0.9304 0.9304 0.7368
```

Values from the calculation:
Magnetization   0.00 μB/cell
Crystal system   monoclinic
ΔE_f (raw)   -0.51 eV per atom
Space group   C2/m
Total DFT energy (no corrections)   -5.435 eV/atom

* * * * *

1.
Compound: Si2HgH
Source: Alexandria
Functional: PBE-GGA
Structure: optimized geometry

volume = 265.8 Å³ per cell
raw total energy = -3.0296 eV/atom

Unit cell a=4.5387 b=4.5387 c=12.9023 alpha=90.00 beta=90.00 gamma=90.00
Space group I-42d (No. 122)
Unique sites:
Si1 0.1007 0.2500 0.1250 [8 per cell]
Hg1 0.0000 0.0000 0.5000 [4 per cell]
H1 0.0000 0.0000 0.0000 [4 per cell]

***

2.
Compound: SiHg3H
Source: Alexandria
Functional: PBE-GGA
Structure: optimized geometry

volume = 137.1 Å³ per cell
polymorph energy (0 for the lowest one) = 0.0 meV per atom
raw total energy = -1.3414 eV/atom

Unit cell a=5.1560 b=5.1560 c=5.1560 alpha=90.00 beta=90.00 gamma=90.00
Space group Pm-3m (No. 221)
Unique sites:
Si1 0.0000 0.0000 0.0000 [1 per cell]
Hg1 0.0000 0.0000 0.5000 [3 per cell]
H1 0.5000 0.5000 0.5000 [1 per cell]

***

3.
Compound: SiSnHg2H
Source: Alexandria
Functional: PBE-GGA
Structure: optimized geometry

volume = 100.7 Å³ per cell
raw total energy = -2.1064 eV/atom

Unit cell a=4.7908 b=4.7908 c=4.3854 alpha=90.00 beta=90.00 gamma=90.00
Space group P4/mmm (No. 123)
Unique sites:
Si1 0.0000 0.0000 0.0000 [1 per cell]
Sn1 0.5000 0.5000 0.0000 [1 per cell]
Hg1 0.0000 0.5000 0.5000 [2 per cell]
H1 0.5000 0.5000 0.5000 [1 per cell]

***

- Which of these has the highest raw total energy?
  SiHg3H

***

Please write out number 1 again, unchanged.
Compound: Si2HgH
Source: Alexandria
Functional: PBE-GGA
Structure: optimized geometry

volume = 265.8 Å³ per cell
raw total energy = -3.0296 eV/atom

Unit cell a=4.5387 b=4.5387 c=12.9023 alpha=90.00 beta=90.00 gamma=90.00
Space group I-42d (No. 122)
Unique sites:
Si1 0.1007 0.2500 0.1250 [8 per cell]
Hg1 0.0000 0.0000 0.5000 [4 per cell]
H1 0.0000 0.0000 0.0000 [4 per cell]

***

Copy entry 2 word for word.
Compound: SiHg3H
Source: Alexandria
Functional: PBE-GGA
Structure: optimized geometry

volume = 137.1 Å³ per cell
polymorph energy (0 for the lowest one) = 0.0 meV per atom
raw total energy = -1.3414 eV/atom

Unit cell a=5.1560 b=5.1560 c=5.1560 alpha=90.00 beta=90.00 gamma=90.00
Space group Pm-3m (No. 221)
Unique sites:
Si1 0.0000 0.0000 0.0000 [1 per cell]
Hg1 0.0000 0.0000 0.5000 [3 per cell]
H1 0.5000 0.5000 0.5000 [1 per cell]

***
********
-- So much for the materials data --

He didn't really suggest that Democrats forget about race and gender. Or did he?

Mark Wilson/Getty Images

The Talking Points Memo headline on Monday morning was guaranteed to raise liberal hackles: Sanders Urges Supporters: Ditch Identity Politics And Embrace The Working Class.” Soon a dozen nearly identical headlines were screeching from a wide variety of media outlets, picking up on remarks Bernie Sanders had made about the Democratic Party’s future on Sunday in Boston. At first blush, they made the Vermont senator’s message sound unambiguous. When it came to identity politics, he was telling Democrats to “move away,” “deemphasize,” or just plain “stop.” The man who’d been accused of tone-deafness about gender and race during the Democratic primaries was now, in the wake of the election, downplaying the importance of racial and gender inclusion in the party. 

Unless, of course, he wasn’t.

The trouble had begun when Sanders—who was promoting his book, Our Revolution—entertained a written question from a woman named Rebecca who said, “I want to be the second Latina senator in U.S. history. Any tips?”

Sanders began his response, captured on a smartphone camera, with a warning: “Let me respond to the question in a way that the questioner may not be happy with.” And then: 

It goes without saying that as we fight to end all forms of discrimination, as we fight to bring more and more women into the political processLatinas, African-Americans, Native Americansall of that is enormously important, and count me in as somebody who wants to see that happen. 

So far, so good ... 

_Materials data, as found in the file_
(1)
# CeThCo | Alexandria | PBE | relaxed
# N(E_F): 2.71 states/eV/atom
# Formation energy from the elements: 0.047 eV per atom
# Total moment: 0.05 μB/cell
# Raw total energy: -6.772 eV/atom
# Distance to the lowest polymorph of the same formula: 18.7 kJ/mol of atoms
data_CeThCo
_chemical_formula_sum 'Ce4 Th4 Co4'
_cell_length_a 6.678
_cell_length_b 6.678
_cell_length_c 6.678
_cell_angle_alpha 90.00
_cell_angle_beta 90.00
_cell_angle_gamma 90.00
_symmetry_space_group_name_H-M 'F -4 3 m'
_symmetry_Int_Tables_number 216
_symmetry_space_group_name_Hall 'F -4 2 3'
loop_
_atom_site_label
_atom_site_type_symbol
_atom_site_fract_x
_atom_site_fract_y
_atom_site_fract_z
_atom_site_occupancy
Ce1 Ce 0.000 0.000 0.000 1
Th1 Th 0.000 0.000 0.500 1
Co1 Co 0.250 0.250 0.750 1

---

(2)
# P2HIrAu | Alexandria | PBE | relaxed
# N(E_F): 0.27 states/eV/atom
# Total moment: 0.00 μB/cell
# Raw total energy: -5.372 eV/atom
# Distance to the lowest polymorph of the same formula: 0.0 kJ/mol of atoms
data_P2HIrAu
_chemical_formula_sum 'P2 H1 Ir1 Au1'
_cell_length_a 3.286
_cell_length_b 4.292
_cell_length_c 6.150
_cell_angle_alpha 94.54
_cell_angle_beta 90.05
_cell_angle_gamma 112.39
_symmetry_space_group_name_H-M 'P 1'
_symmetry_Int_Tables_number 1
_symmetry_space_group_name_Hall 'P 1'
loop_
_atom_site_label
_atom_site_type_symbol
_atom_site_fract_x
_atom_site_fract_y
_atom_site_fract_z
_atom_site_occupancy
P1 P 0.000 0.000 0.000 1
P2 P 0.269 0.539 0.336 1
H1 H 0.820 0.640 0.943 1
Ir1 Ir 0.554 0.108 0.267 1
Au1 Au 0.126 0.251 0.666 1

---

(3)
# AlAg7 | Alexandria | PBE | relaxed
# N(E_F): 0.26 states/eV/atom
# Formation energy from the elements: -0.011 eV per atom
# Total moment: 0.00 μB/cell
# Raw total energy: -2.974 eV/atom
# Distance to the lowest polymorph of the same formula: 1.3 kJ/mol of atoms
data_AlAg7
_chemical_formula_sum 'Al1 Ag7'
_cell_length_a 5.063
_cell_length_b 2.934
_cell_length_c 9.695
_cell_angle_alpha 90.00
_cell_angle_beta 101.68
_cell_angle_gamma 90.00
_symmetry_space_group_name_H-M 'P 1 2/m 1'
_symmetry_Int_Tables_number 10
_symmetry_space_group_name_Hall '-P 2y'
loop_
_atom_site_label
_atom_site_type_symbol
_atom_site_fract_x
_atom_site_fract_y
_atom_site_fract_z
_atom_site_occupancy
Al1 Al 0.000 0.000 0.000 1
Ag1 Ag 0.000 0.500 0.500 1
Ag2 Ag 0.241 0.500 0.240 1
Ag3 Ag 0.250 0.000 0.751 1
Ag4 Ag 0.500 0.000 0.500 1
Ag5 Ag 0.500 0.500 0.000 1

---

(4)
# LiAcIr | Alexandria | PBE | relaxed
# N(E_F): 0.68 states/eV/atom
# Formation energy from the elements: -0.287 eV per atom
# Total moment: 0.00 μB/cell
# Raw total energy: -5.248 eV/atom
# Distance to the lowest polymorph of the same formula: 14.0 kJ/mol of atoms
data_LiAcIr
_chemical_formula_sum 'Li4 Ac4 Ir4'
_cell_length_a 3.962
_cell_length_b 17.657
_cell_length_c 4.124
_cell_angle_alpha 90.00
_cell_angle_beta 90.00
_cell_angle_gamma 90.00
_symmetry_space_group_name_H-M 'C m c m'
_symmetry_Int_Tables_number 63
_symmetry_space_group_name_Hall '-C 2c 2'
loop_
_atom_site_label

But it is not good enough for somebody to say, “Hey, I’m a Latina. Vote for me.” That is not good enough. I have to know whether that Latina is going to stand up with the working class of this country and is going to take on big-money interests.

And then, after backing up to stress the need for diversity in politics—“We need 50 women in the Senate. We need more African-Americans.”—he hammered home his point about “where there’s going to be a division in the Democratic Party”:

“It is not good enough for somebody to say, ‘I’m a woman. Vote for me,’” he said. “What we need is a woman who has the guts to stand up to Wall Street, to the insurance companies, to the drug companies, to the fossil fuel industry.”

Sanders’s big finish: “One of the struggles that you’re going to be seeing in the Democratic Party is whether we go beyond identity politics.”

On Twitter, the backlash to Sanders’s statements was swift. “I am so done,” wrote Guardian columnist Jessica ValentiMs. magazine’s digital editor Carmen Rios concluded Sanders wants “the left at-large to take up the mantle of the white working class—erasing in the process the unique marginalization faced by women and people of color, who more often live in poverty than their white and male counterparts.”  

This is a valid concern. But when you hear Sanders’s comments in full, it’s not quite so clear: What did he really mean by “go beyond identity politics”? 

Ever since Donald Trump defeated Hillary Clinton, the senator has called for refocusing the Democratic Party on outreach to the blue-collar whites who gave the president-elect his narrow victory in the Rust Belt—and went more than two-to-one for Trump nationwide. Appearing on CBS This Morning, Sanders had lamented, “I come from the white working class, and I am deeply humiliated that the Democratic Party cannot talk to where I came from.” 

The real problem for Sanders is that his recent calls for courting the white working class have been just as ambiguous—and open to misinterpretation—as his remarks on Sunday night. If “go beyond identity politics” signals that he believes Democrats should pursue an economic populism that doesn’t address the unique challenges faced by women, people of color, LGBTQ Americans, and other marginalized groups—if what he’s calling for really is the abandonment of identity politics—then the criticism of Sanders is on-target. It would be further evidence of what the writer Kathleen Geier, herself a Sanders supporter, called “Bernie’s Greatest Weakness” in The Nation earlier this year: “For all his political virtues, Sanders has had difficulty connecting his message of economic populism to the other major social justice concerns of the modern left, such race, gender, and sexuality.”

If, on the other hand, “go beyond identity politics” is a call for Democrats to layer a big dose of economic populism on top of these social-justice concerns—if Sanders is making a statement about building upon the existing political framework, not tearing it down—then he’s being misinterpreted.

The New Republic’s Clio Chang endorsed the latter interpretation, writing that “criticism that diversity on its own does not necessarily translate into lifting up the working class is a fair point and not, as [Talking Points Memo] implies, a condemnation of diversity itself.” The Intercept’s Lee Fang similarly tweeted that what Sanders opposed wasn’t actually “identity politics” but “shallow identity-first politics.”

That probably is what Sanders really meant. The problem is that he’s never fully explained how he sees his populism pairing with identity politics. He needs to clarify that he is in fact talking about all Americans, and make it clear that he understands the distinct challenges faced by various groups. Any leader of the left needs to understand the importance of that, and Sanders has shown in the past that he does. If his aim is to re-energize the Obama coalition and broaden it, rather than returning to the 1990s, when Democrats shaped their message around appealing to white “Reagan Democrats” and shunted feminist and racial-justice issues aside, then Sanders has something important—rather than just controversial and chiding—to say to the party. 

Sanders’s office didn’t respond to The New Republic’s request for an interview Monday. But Democrats need to hear from him. If he’s figured out a way to speak to blue-collar whites again, while simultaneously broadening the Democratic Party’s economic message for Latinos, African-Americans, Asians, and white Millennials, let’s hear it. And when he more fully explains what he meant by “going beyond” identity politics, we’ll also know whether his harshest liberal critics were right all along.